=====
Entry 1:
Entry from the Alexandria database: a geometry-optimized Tb3Nd6Dy2In structure (PBE).

abc: 6.2113 10.7926 11.8357
angles: 90.00 100.24 90.00
Last column: nearest neighbours and their distance in Å.
Space group C2/m (No. 12)
One atom of each set of equivalent atoms:
Tb 0.0000 0.0000 0.0000 (multiplicity 2)  6 Tb 3.58-3.60, 6 Nd 3.59-3.61
Tb 0.0000 0.3321 0.0000 (multiplicity 4)  6 Tb 3.58-3.62, 6 Nd 3.58-3.62
Nd 0.2446 0.5000 0.2515 (multiplicity 4)  6 Nd 3.52-3.63, 1 In 3.54, 2 Dy 3.57, 3 Tb 3.58-3.61
Nd 0.2455 0.3364 0.7469 (multiplicity 8)  1 In 3.52, 6 Nd 3.52-3.63, 2 Dy 3.56, 3 Tb 3.59-3.62
Dy 0.0000 0.1662 0.5000 (multiplicity 4)  6 Nd 3.56-3.57, 3 In 3.59-3.60, 3 Dy 3.59
In 0.0000 0.5000 0.5000 (multiplicity 2)  6 Nd 3.52-3.54, 6 Dy 3.59-3.60

Output
**Volume**: 32.532 A^3/atom
**Total DFT energy (no corrections)**: -54.87 eV per formula unit



Entry 2:
Entry from the Alexandria database: a geometry-optimized NdDyIn2Te4 structure (PBE).

abc: 7.7425 4.4660 8.5064
angles: 90.00 107.62 90.00
Last column: nearest neighbours and their distance in Å.
Space group P2/m (No. 10)
One atom of each set of equivalent atoms:
Nd 0.0000 0.0000 0.0000 (multiplicity 1)  6 Te 3.18-3.19
Dy 0.5000 0.5000 0.0000 (multiplicity 1)  6 Te 3.12
In 0.0000 0.5000 0.5000 (multiplicity 1)  6 Te 3.45
In 0.5000 0.0000 0.5000 (multiplicity 1)  6 Te 3.39
Te 0.2489 0.5000 0.2253 (multiplicity 2)  1 Dy 3.12, 2 Nd 3.18, 3 In 3.39-3.45
Te 0.2669 0.0000 0.7791 (multiplicity 2)  2 Dy 3.12, 1 Nd 3.19, 3 In 3.39-3.45

Output
**Volume**: 35.042 A^3/atom
**Formation energy without anion corrections**: -22.58 kcal/mol of atoms



Entry 3:
Entry from the Alexandria database: a geometry-optimized NdDy2In3Te6 structure (PBE).

abc: 7.7085 13.3481 8.5094
angles: 90.00 107.58 90.00
Last column: nearest neighbours and their distance in Å.
Space group C2/m (No. 12)
One atom of each set of equivalent atoms:
Nd 0.0000 0.0000 0.0000 (multiplicity 2)  6 Te 3.18-3.19
Dy 0.0000 0.3330 0.0000 (multiplicity 4)  6 Te 3.11
In 0.0000 0.1643 0.5000 (multiplicity 4)  6 Te 3.39-3.44
In 0.0000 0.5000 0.5000 (multiplicity 2)  6 Te 3.38-3.44
Te 0.2321 0.5000 0.2199 (multiplicity 4)  2 Dy 3.11, 1 Nd 3.18, 3 In 3.38-3.43
Te 0.2447 0.1705 0.2223 (multiplicity 8)  2 Dy 3.11, 1 Nd 3.19, 3 In 3.39-3.44

Output
**Volume**: 34.778 A^3/atom
**Formation energy without anion corrections**: -22.51 kcal/mol of atoms
=====

Next, type out the whole of the data above verbatim.

Entry 1:
Entry from the Alexandria database: a geometry-optimized Tb3Nd6Dy2In structure (PBE).

abc: 6.2113 10.7926 11.8357
angles: 90.00 100.24 90.00
Last column: nearest neighbours and their distance in Å.
Space group C2/m (No. 12)
One atom of each set of equivalent atoms:
Tb 0.0000 0.0000 0.0000 (multiplicity 2)  6 Tb 3.58-3.60, 6 Nd 3.59-3.61
Tb 0.0000 0.3321 0.0000 (multiplicity 4)  6 Tb 3.58-3.62, 6 Nd 3.58-3.62
Nd 0.2446 0.5000 0.2515 (multiplicity 4)  6 Nd 3.52-3.63, 1 In 3.54, 2 Dy 3.57, 3 Tb 3.58-3.61
Nd 0.2455 0.3364 0.7469 (multiplicity 8)  1 In 3.52, 6 Nd 3.52-3.63, 2 Dy 3.56, 3 Tb 3.59-3.62
Dy 0.0000 0.1662 0.5000 (multiplicity 4)  6 Nd 3.56-3.57, 3 In 3.59-3.60, 3 Dy 3.59
In 0.0000 0.5000 0.5000 (multiplicity 2)  6 Nd 3.52-3.54, 6 Dy 3.59-3.60

Output
**Volume**: 32.532 A^3/atom
**Total DFT energy (no corrections)**: -54.87 eV per formula unit



Entry 2:
Entry from the Alexandria database: a geometry-optimized NdDyIn2Te4 structure (PBE).

abc: 7.7425 4.4660 8.5064
angles: 90.00 107.62 90.00
Last column: nearest neighbours and their distance in Å.
Space group P2/m (No. 10)
One atom of each set of equivalent atoms:
Nd 0.0000 0.0000 0.0000 (multiplicity 1)  6 Te 3.18-3.19
Dy 0.5000 0.5000 0.0000 (multiplicity 1)  6 Te 3.12
In 0.0000 0.5000 0.5000 (multiplicity 1)  6 Te 3.45
In 0.5000 0.0000 0.5000 (multiplicity 1)  6 Te 3.39
Te 0.2489 0.5000 0.2253 (multiplicity 2)  1 Dy 3.12, 2 Nd 3.18, 3 In 3.39-3.45
Te 0.2669 0.0000 0.7791 (multiplicity 2)  2 Dy 3.12, 1 Nd 3.19, 3 In 3.39-3.45

Output
**Volume**: 35.042 A^3/atom
**Formation energy without anion corrections**: -22.58 kcal/mol of atoms



Entry 3:
Entry from the Alexandria database: a geometry-optimized NdDy2In3Te6 structure (PBE).

abc: 7.7085 13.3481 8.5094
angles: 90.00 107.58 90.00
Last column: nearest neighbours and their distance in Å.
Space group C2/m (No. 12)
One atom of each set of equivalent atoms:
Nd 0.0000 0.0000 0.0000 (multiplicity 2)  6 Te 3.18-3.19
Dy 0.0000 0.3330 0.0000 (multiplicity 4)  6 Te 3.11
In 0.0000 0.1643 0.5000 (multiplicity 4)  6 Te 3.39-3.44
In 0.0000 0.5000 0.5000 (multiplicity 2)  6 Te 3.38-3.44
Te 0.2321 0.5000 0.2199 (multiplicity 4)  2 Dy 3.11, 1 Nd 3.18, 3 In 3.38-3.43
Te 0.2447 0.1705 0.2223 (multiplicity 8)  2 Dy 3.11, 1 Nd 3.19, 3 In 3.39-3.44

Output
**Volume**: 34.778 A^3/atom
**Formation energy without anion corrections**: -22.51 kcal/mol of atoms